| Caffe2 wrapper functions for protobuf’s
| GetEmptyStringAlreadyInited() function used to
| avoid duplicated global variable in the case
| when protobuf is built with hidden visibility.
| Given a net, modify the external inputs/outputs
| if necessary so that the following conditions
| are met
# Between two parts of the entry: materials data
~~~
# 1
Structure and computed X-ray powder pattern of AcNd4DyHo2 (the PBE geometry in Alexandria; a wavelength of 1.5418 Å).

Largest 6 diffraction maxima, low angle first, 15° ≤ 2θ ≤ 90°:
(2 0 0), 29.73°, d 3.005, rel. 58.6
(1 1 2), 31.29°, d 2.859, rel. 100.0
(2 2 0), 42.54°, d 2.125, rel. 22.3
(3 1 2), 53.75°, d 1.705, rel. 44.0
(2 0 4), 56.65°, d 1.625, rel. 17.4
(2 2 4), 65.28°, d 1.429, rel. 11.4

Structural model:
Cell: 6.003 6.018 7.726 Å, 90.00 90.00 90.00°
Space group Pmmm (No. 47)
One atom of each set of equivalent atoms:
Ac (0.000, 0.000, 0.000) x1
Nd (0.000, 0.500, 0.269) x2
Nd (0.500, 0.000, 0.269) x2
Dy (0.500, 0.500, 0.500) x1
Ho (0.000, 0.000, 0.500) x1
Ho (0.500, 0.500, 0.000) x1



# 2
Structure and computed X-ray powder pattern of Ac2NdDyHo (the PBE geometry in Alexandria; a wavelength of 1.5418 Å).

Largest 6 diffraction maxima, low angle first, 15° ≤ 2θ ≤ 90°:
(1 2 1), 27.56°, d 3.236, rel. 100.0
(2 0 0), 27.67°, d 3.224, rel. 25.9
(0 1 2), 28.48°, d 3.134, rel. 30.9
(2 1 1), 32.39°, d 2.764, rel. 21.4
(1 3 1), 35.55°, d 2.526, rel. 27.2
(2 0 2), 38.81°, d 2.320, rel. 21.5

Structural model:
Cell: 6.448 9.031 6.684 Å, 90.00 90.00 90.00°
Space group Pmma (No. 51)
One atom of each set of equivalent atoms:
Ac (0.250, 0.202, 0.212) x4
Nd (0.250, 0.500, 0.921) x2
Dy (0.250, 0.000, 0.684) x2
Ho (0.000, 0.500, 0.500) x2



# 3
Structure and computed X-ray powder pattern of AcPmDy5Ho2 (the PBE geometry in Alexandria; a wavelength of 1.5418 Å).

Largest 6 diffraction maxima, low angle first, 15° ≤ 2θ ≤ 90°:
(2 2 0), 28.13°, d 3.173, rel. 48.6
(2 1 3), 28.41°, d 3.142, rel. 45.0
(2 0 4), 30.90°, d 2.894, rel. 100.0
(3 1 0), 31.53°, d 2.838, rel. 21.8
(2 1 5), 37.18°, d 2.418, rel. 21.5
(4 0 2), 41.96°, d 2.153, rel. 25.9

Structural model:
Cell: 8.973 8.973 15.150 Å, 90.00 90.00 90.00°
Space group I4/mcm (No. 140)
One atom of each set of equivalent atoms:
Ac (0.000, 0.000, 0.250) x4
Pm (0.000, 0.500, 0.250) x4
Dy (0.000, 0.000, 0.000) x4
Dy (0.200, 0.300, 0.126) x16
Ho (0.114, 0.386, 0.500) x8



# 4
Structure and computed X-ray powder pattern of AcPmDyHo3 (the PBE geometry in Alexandria; a wavelength of 1.5418 Å).

Largest 6 diffraction maxima, low angle first, 15° ≤ 2θ ≤ 90°:
(5 1 -1), 30.09°, d 2.970, rel. 100.0
(5 1 1), 30.54°, d 2.927, rel. 38.7
(3 1 -2), 31.18°, d 2.869, rel. 36.8
(0 2 0), 31.58°, d 2.833, rel. 82.5
(3 1 2), 31.72°, d 2.821, rel. 75.2
(7 1 0), 36.16°, d 2.484, rel. 46.3

Structural model:
Cell: 19.360 5.666 7.650 Å, 90.00 91.47 90.00°
Space group C2/m (No. 12)
One atom of each set of equivalent atoms:
Ac (0.140, 0.000, 0.025) x4
Pm (0.049, 0.500, 0.289) x4
Dy (0.154, 0.000, 0.450) x4
Ho (0.025, 0.000, 0.702) x4
Ho (0.165, 0.500, 0.713) x4
Ho (0.220, 0.500, 0.248) x4



# 5
Structure and computed X-ray powder pattern of Ac2Pr5DyHo (the PBE geometry in Alexandria; a wavelength of 1.5418 Å).

Largest 6 diffraction maxima, low angle first, 15° ≤ 2θ ≤ 90°:
(1 3 2), 25.96°, d 3.432, rel. 23.5
~~~
| - No duplicate external inputs
| - No duplicate external outputs
| - Going through list of ops in order,
| all op inputs must be outputs from other
| ops, or registered as external inputs.
| - All external outputs must be outputs
| of some operators.
| A simplified version compared to the
| full
| CreateOperator, if you do not need to
| specify args.
| IterableInputs default = std::initializer_list
| IterableOutputs default = std::initializer_list
| IterableInputs default = std::initializer_list
| IterableOutputs default = std::initializer_list
| IterableArgs default = std::initializer_list
|| A wrapper function to return device
| name string for use in blob serialization
| / deserialization.
| This should have one to one correspondence
| with caffe2/proto/caffe2.proto:
| enum DeviceType.
| ———–
| @note
| we can’t use DeviceType_Name, because
| that is only available in protobuf-full,
| and some platforms (like mobile) may
| want to use protobuf-lite instead.
| Helper methods to get an argument from
| OperatorDef or NetDef given argument
| name. Throws if argument does not exist.
| Return the argument index or -1 if it
| does not exist.
| Helper methods to get an argument from
| OperatorDef or NetDef given argument
| name. Returns nullptr if argument does not
| exist.
| Helper methods to query a boolean argument
| flag from OperatorDef or NetDef given
| argument name. If argument does not
| exist, return default value.
| Throws if argument exists but the type
| is not boolean.
| Returns if the two DeviceOptions are
| pointing to the same device.
| ONNX wrapper functions for protobuf’s
| GetEmptyStringAlreadyInited() function used to
| avoid duplicated global variable in the case
| when protobuf is built with hidden visibility.
| Read Proto from a file, letting the code
| figure out if it is text or binary.
| Common interfaces that are supported
| by both lite and full protobuf.
| Common interfaces that reads file contents
| into a string.
| A wrapper function to shut down protobuf
| library (this is needed in ASAN testing and
| valgrind cases to avoid protobuf appearing to
| “leak” memory).
| Helper function to verify that conversion
| between types won’t loose any significant
| bit.